Page Overlay shows analytics data directly on your website.

By doing this, it takes you closer the experience of your visitors and helps you understand traffic patterns.

Unrelated to this page: data records =
********
one | 56
Lattice="10.866 0.000 0.000 0.000 6.774 0.000 -10.128 0.000 11.538" Properties=species:S:1:pos:R:3 comment="LaH3O3 PBE optimized geometry" total_magnetization_mub_per_fu=0.0 space_group=P2_1/c pbc="T T T"
La 0.107 0.192 1.922
La -4.957 3.195 7.690
La 0.233 3.620 3.834
La -4.831 6.542 9.603
La 5.569 0.233 1.935
La 0.505 3.154 7.704
La 5.695 3.579 3.847
La 0.631 6.582 9.616
H -2.968 1.505 3.470
H -8.032 1.882 9.239
H -2.893 4.328 5.786
H 2.171 5.834 0.017
H -3.838 0.510 6.871
H 1.226 2.877 1.102
H -1.121 1.032 4.603
H -6.185 2.355 10.372
H 4.234 4.831 0.373
H -0.829 5.330 6.142
H -1.642 1.013 7.858
H 3.422 2.374 2.089
H -2.684 4.400 9.448
H 2.380 5.762 3.680
H 1.568 1.444 5.395
H -3.496 1.943 11.164
H 6.923 4.419 1.166
H 1.859 5.742 6.935
H -0.488 3.897 10.436
H 4.576 6.264 4.667
H -1.433 0.941 11.520
H 3.631 2.447 5.751
H 8.771 4.892 2.299
H 3.707 5.269 8.068
O -1.120 4.946 2.424
O -6.184 5.216 8.193
O -3.862 4.183 5.769
O 1.202 5.978 0.000
O -1.018 1.478 3.743
O -6.082 1.909 9.512
O -3.797 0.989 7.720
O 1.267 2.398 1.951
O -0.786 4.373 5.958
O 4.278 5.788 0.189
O -3.661 4.435 9.373
O 1.402 5.726 3.604
O -0.664 1.048 7.934
O 4.400 2.339 2.165
O -3.540 0.986 11.349
O 1.524 2.401 5.580
O -0.528 4.377 9.586
O 4.536 5.785 3.818
O 6.820 4.866 2.025
O 1.757 5.296 7.794
O -0.463 0.796 11.538
O 4.601 2.591 5.769
O 6.922 1.559 3.345
O 1.858 1.829 9.114

two | 14
Lattice="6.617 0.000 0.000 0.000 3.832 0.000 -3.265 0.000 5.810" Properties=species:S:1:pos:R:3 comment="LaH3O3 PBE optimized geometry" total_magnetization_mub_per_fu=0.0 space_group=P2_1/m pbc="T T T"
La 0.005 0.958 1.917
La 3.347 2.874 3.893
H -1.365 0.958 4.974
H 0.102 2.874 4.059
H 1.927 2.874 0.864
H 1.425 0.958 4.947
H 3.250 0.958 1.751
H 4.717 2.874 0.836
O -2.284 0.958 5.303
O -0.675 2.874 3.477
O 1.720 2.874 1.816
O 1.632 0.958 3.994
O 4.027 0.958 2.333
O 5.636 2.874 0.507

Least stable structure: one
********

How to Open Page Overlay for a Page?

Page Overlay can be launched from the rows of the Behaviour > Pages reports. Just move you mouse over the page you want to see the Overlay for and click the bubble icon. It will open Page Overlay in a new tab.

Understanding the User Interface

Page Overlay displays the actual website and puts bubbles next to the links on the page that show how many visitors clicked the link:

Next to your website, there’s a sidebar with additional data and actions:

  • On top, you can pick the date range Page Overlay shall show statistics for. It contains several shortcuts that are much easier to use than a full date selector. The default date range is “Current Month”: when you launch Page Overlay, this date range will always be selected regardless of the date that was selected in Matomo (Piwik) when the Overlay session was launched.
  • Beneath the date picker, you can see the page you are viewing. The location shown here corresponds to the page URLs shown in the page report, so ignored parameters won’t be included here.
  • The section “Main Metrics” shows you the data you would see in the corresponding row of the pages report.
  • On the bottom, you can launch the row actions that you would also see on the pages report: Row Evolution and Transitions.

You can click links inside the website and Page Overlay will update the sidebar and also show analytics data for each page you visit (as long as it has the Matomo tracker on it). And it doesn’t only show data for internal links, it even works for downloads and outlinks.

When you hover a link, the target URL is shown in the lower right. Also, you can see the absolute number of clicks and how many links point the the exact same location.

“3451 clicks from one of 2 links” means that there are two links on the website that lead to the same URL. The URL was visited 3451 times directly after viewing the current page, so up to 3451 visits must have used one of the two links to get there.

It is important to understand that Page Overlay doesn’t really record the click on the link. Instead, it uses the data Matomo gathers anyway to determine which pages were viewed directly after visiting the current page. If there are multiple links to this page, it cannot tell which link was used how many times. This is why Page Overlay shows you how many links point to this location and it also highlights the bubbles next to the other links when you move your mouse over one of them.


Matomo Page Overlay lets you see how links perform by looking at your actual website. With this visualization, you can derive additional insight like which areas of the website perform better or worse than others.

Together with the Transitions report, it helps you understand the paths visitors take in your website. Clicking through your website and seeing the paths takes you much closer to your visitors and gives you new ideas for improving your content and navigation.